• Source:
# 1
75
Properties=species:S:1:pos:R:3 method="wB97M-V/def2-TZVPD" orbital_gap_ev="4.4802 / 6.5877" de_lowest_kj_mol=74.5 e_lumo_ev="2.302 / 2.298" s2=2.03 charge=-1 multiplicity=3
Ti 0.57 -0.32 0.36
C 0.92 2.79 0.55
N -0.38 2.10 0.48
C -1.02 2.17 1.81
C -0.23 1.39 2.82
C -0.26 1.76 4.14
C 0.41 1.02 5.11
C 1.12 -0.11 4.65
C 1.14 -0.42 3.32
N 0.50 0.32 2.33
C -1.30 2.68 -0.51
C -1.22 2.22 -1.95
C -2.40 2.17 -2.69
C -2.35 1.74 -4.00
C -1.12 1.36 -4.53
C 0.00 1.46 -3.72
N -0.05 1.89 -2.46
C 1.96 2.21 -0.36
C 2.94 3.02 -0.91
C 3.90 2.46 -1.73
C 3.82 1.10 -1.99
C 2.81 0.36 -1.41
N 1.91 0.88 -0.55
H 1.29 2.70 1.57
H 0.80 3.86 0.34
H -2.03 1.76 1.72
H -1.12 3.21 2.14
H -0.84 2.64 4.42
H 0.39 1.30 6.15
H 1.65 -0.75 5.34
H 1.67 -1.29 2.97
H -1.21 3.77 -0.51
H -2.31 2.44 -0.16
H -3.35 2.44 -2.23
H -3.25 1.67 -4.60
H -1.04 0.99 -5.55
H 0.98 1.18 -4.09
H 2.93 4.08 -0.71
H 4.69 3.07 -2.16
H 4.53 0.61 -2.64
H 2.72 -0.69 -1.60
F -5.95 -0.53 2.98
C -4.75 -1.00 2.62
C -3.97 -0.32 1.70
F -4.42 0.83 1.17
C -2.74 -0.83 1.36
F -2.00 -0.13 0.48
C -2.19 -2.00 1.88
S -0.63 -2.56 1.41
C -3.02 -2.66 2.80
F -2.61 -3.80 3.37
C -4.26 -2.17 3.16
F -5.01 -2.83 4.06
C 5.25 -2.25 2.28
C 4.41 -2.99 1.22
C 3.96 -4.34 1.78
C 5.24 -3.20 -0.04
C 3.22 -2.17 0.90
C 2.21 -1.52 0.68
H 6.12 -2.85 2.55
H 4.66 -2.06 3.18
H 5.58 -1.28 1.89
H 4.83 -4.97 2.01
H 3.33 -4.87 1.06
H 3.38 -4.21 2.70
H 6.12 -3.81 0.18
H 5.58 -2.24 -0.44
H 4.65 -3.70 -0.81
Cl 1.09 -3.50 -2.00
C -0.49 -2.98 -2.57
Cl -1.67 -4.26 -2.31
Cl -0.38 -2.64 -4.33
C -1.01 -1.63 -1.91
O -2.15 -1.34 -2.15
O -0.12 -0.92 -1.30

# 2
64
Properties=species:S:1:pos:R:3 method="wB97M-V/def2-TZVPD" orbital_gap_ev=3.3001 de_lowest_kj_mol=0.0 e_lumo_ev=-1.957 charge=0 multiplicity=1
F 7.58 1.97 -3.37
C 7.27 0.80 -2.74
F 7.99 -0.19 -3.37
F 7.76 0.89 -1.46
C 5.79 0.52 -2.74
C 5.35 -0.80 -2.70
C 3.99 -1.06 -2.67
C 3.04 0.02 -2.65
C 1.65 -0.23 -2.58
C 0.72 0.81 -2.57
N -0.12 1.63 -2.56
C 3.54 1.35 -2.70
C 4.90 1.59 -2.74
H 6.06 -1.62 -2.70
H 3.62 -2.09 -2.64
H 1.27 -1.25 -2.58
H 2.85 2.20 -2.71
H 5.27 2.61 -2.77
C -3.19 5.45 1.62
C -3.88 5.30 0.40
C -4.20 4.03 -0.07
C -3.83 2.90 0.67
C -4.15 1.52 0.14
N -3.19 0.49 0.59
C -3.72 -0.69 1.30
C -3.41 -2.01 0.64
C -3.02 -3.10 1.43
C -2.67 -4.31 0.84
C -2.74 -4.44 -0.55
C -3.16 -3.37 -1.35
C -3.51 -2.15 -0.75
C -1.87 0.69 0.50
C -0.90 -0.24 0.91
C 0.40 0.08 1.21
C 1.34 -0.90 1.68
C 2.40 -0.55 2.55
C 3.25 -1.51 3.08
C 3.08 -2.86 2.73
C 2.05 -3.24 1.86
C 1.19 -2.28 1.34
C -3.18 3.05 1.90
C -2.84 4.32 2.36
H -2.94 6.44 1.98
H -4.17 6.18 -0.18
H -4.72 3.88 -1.02
H -5.14 1.18 0.47
H -4.18 1.54 -0.97
H -3.33 -0.69 2.33
H -4.81 -0.54 1.36
H -2.96 -2.96 2.52
H -2.35 -5.14 1.47
H -2.48 -5.39 -1.02
H -3.23 -3.46 -2.43
H -3.84 -1.30 -1.35
H -1.55 1.67 0.11
H -1.22 -1.27 1.04
H 0.70 1.14 1.19
H 2.51 0.51 2.80
H 4.05 -1.22 3.77
H 3.76 -3.62 3.14
H 1.92 -4.28 1.58
H 0.38 -2.57 0.66
H -2.92 2.17 2.48
H -2.29 4.41 3.31

# 3
73
Properties=species:S:1:pos:R:3 method="wB97M-V/def2-TZVPD" orbital_gap_ev="7.1372 / 5.1977" de_lowest_kj_mol=0.0 e_lumo_ev="-0.038 / -1.939" s2=8.77 charge=0 multiplicity=6
Fe 11.00 11.37 9.46
C 8.30 7.74 7.78
C 9.39 8.74 7.99
N 9.17 10.08 7.88
N 8.05 10.45 7.28
C 7.95 11.82 7.12
N 7.32 12.22 6.01
S 8.67 12.95 8.16
C 10.83 8.34 8.20
C 11.20 6.99 8.04
C 12.52 6.67 8.17
C 13.44 7.69 8.40
C 12.97 9.00 8.48
N 11.67 9.32 8.54
H 7.54 8.27 7.15
H 7.87 7.50 8.73
H 8.66 6.86 7.25
H 6.96 11.55 5.32
H 7.35 13.23 5.76
H 10.40 6.30 7.72
H 12.81 5.62 8.13
H 14.49 7.44 8.58
H 13.70 9.82 8.47
C 13.42 6.62 14.00
C 13.18 7.81 13.18
C 14.08 8.85 13.19
C 13.88 10.04 12.48
C 12.78 10.25 11.64
N 12.70 11.20 10.66
C 13.75 12.08 10.41
C 15.09 11.67 10.25
C 16.13 12.55 9.97
C 15.90 13.89 9.65
C 17.04 14.77 9.21
C 14.56 14.35 9.74
C 13.55 13.47 10.16
N 12.24 14.04 10.25
C 11.93 15.38 10.47
C 10.63 15.46 10.88
C 10.15 14.12 10.87
N 11.12 13.31 10.37
C 11.73 9.31 11.94
C 11.99 8.04 12.50
N 10.31 9.60 11.77
C 9.29 8.92 12.30
C 8.09 9.48 11.94
C 8.44 10.53 11.09
N 9.76 10.64 10.96
H 14.32 6.05 13.69

• To do:
Could you echo the calculation results earlier on from the first line to the one with "6.01" exactly?

• Reply:
# 1
75
Properties=species:S:1:pos:R:3 method="wB97M-V/def2-TZVPD" orbital_gap_ev="4.4802 / 6.5877" de_lowest_kj_mol=74.5 e_lumo_ev="2.302 / 2.298" s2=2.03 charge=-1 multiplicity=3
Ti 0.57 -0.32 0.36
C 0.92 2.79 0.55
N -0.38 2.10 0.48
C -1.02 2.17 1.81
C -0.23 1.39 2.82
C -0.26 1.76 4.14
C 0.41 1.02 5.11
C 1.12 -0.11 4.65
C 1.14 -0.42 3.32
N 0.50 0.32 2.33
C -1.30 2.68 -0.51
C -1.22 2.22 -1.95
C -2.40 2.17 -2.69
C -2.35 1.74 -4.00
C -1.12 1.36 -4.53
C 0.00 1.46 -3.72
N -0.05 1.89 -2.46
C 1.96 2.21 -0.36
C 2.94 3.02 -0.91
C 3.90 2.46 -1.73
C 3.82 1.10 -1.99
C 2.81 0.36 -1.41
N 1.91 0.88 -0.55
H 1.29 2.70 1.57
H 0.80 3.86 0.34
H -2.03 1.76 1.72
H -1.12 3.21 2.14
H -0.84 2.64 4.42
H 0.39 1.30 6.15
H 1.65 -0.75 5.34
H 1.67 -1.29 2.97
H -1.21 3.77 -0.51
H -2.31 2.44 -0.16
H -3.35 2.44 -2.23
H -3.25 1.67 -4.60
H -1.04 0.99 -5.55
H 0.98 1.18 -4.09
H 2.93 4.08 -0.71
H 4.69 3.07 -2.16
H 4.53 0.61 -2.64
H 2.72 -0.69 -1.60
F -5.95 -0.53 2.98
C -4.75 -1.00 2.62
C -3.97 -0.32 1.70
F -4.42 0.83 1.17
C -2.74 -0.83 1.36
F -2.00 -0.13 0.48
C -2.19 -2.00 1.88
S -0.63 -2.56 1.41
C -3.02 -2.66 2.80
F -2.61 -3.80 3.37
C -4.26 -2.17 3.16
F -5.01 -2.83 4.06
C 5.25 -2.25 2.28
C 4.41 -2.99 1.22
C 3.96 -4.34 1.78
C 5.24 -3.20 -0.04
C 3.22 -2.17 0.90
C 2.21 -1.52 0.68
H 6.12 -2.85 2.55
H 4.66 -2.06 3.18
H 5.58 -1.28 1.89
H 4.83 -4.97 2.01
H 3.33 -4.87 1.06
H 3.38 -4.21 2.70
H 6.12 -3.81 0.18
H 5.58 -2.24 -0.44
H 4.65 -3.70 -0.81
Cl 1.09 -3.50 -2.00
C -0.49 -2.98 -2.57
Cl -1.67 -4.26 -2.31
Cl -0.38 -2.64 -4.33
C -1.01 -1.63 -1.91
O -2.15 -1.34 -2.15
O -0.12 -0.92 -1.30

# 2
64
Properties=species:S:1:pos:R:3 method="wB97M-V/def2-TZVPD" orbital_gap_ev=3.3001 de_lowest_kj_mol=0.0 e_lumo_ev=-1.957 charge=0 multiplicity=1
F 7.58 1.97 -3.37
C 7.27 0.80 -2.74
F 7.99 -0.19 -3.37
F 7.76 0.89 -1.46
C 5.79 0.52 -2.74
C 5.35 -0.80 -2.70
C 3.99 -1.06 -2.67
C 3.04 0.02 -2.65
C 1.65 -0.23 -2.58
C 0.72 0.81 -2.57
N -0.12 1.63 -2.56
C 3.54 1.35 -2.70
C 4.90 1.59 -2.74
H 6.06 -1.62 -2.70
H 3.62 -2.09 -2.64
H 1.27 -1.25 -2.58
H 2.85 2.20 -2.71
H 5.27 2.61 -2.77
C -3.19 5.45 1.62
C -3.88 5.30 0.40
C -4.20 4.03 -0.07
C -3.83 2.90 0.67
C -4.15 1.52 0.14
N -3.19 0.49 0.59
C -3.72 -0.69 1.30
C -3.41 -2.01 0.64
C -3.02 -3.10 1.43
C -2.67 -4.31 0.84
C -2.74 -4.44 -0.55
C -3.16 -3.37 -1.35
C -3.51 -2.15 -0.75
C -1.87 0.69 0.50
C -0.90 -0.24 0.91
C 0.40 0.08 1.21
C 1.34 -0.90 1.68
C 2.40 -0.55 2.55
C 3.25 -1.51 3.08
C 3.08 -2.86 2.73
C 2.05 -3.24 1.86
C 1.19 -2.28 1.34
C -3.18 3.05 1.90
C -2.84 4.32 2.36
H -2.94 6.44 1.98
H -4.17 6.18 -0.18
H -4.72 3.88 -1.02
H -5.14 1.18 0.47
H -4.18 1.54 -0.97
H -3.33 -0.69 2.33
H -4.81 -0.54 1.36
H -2.96 -2.96 2.52
H -2.35 -5.14 1.47
H -2.48 -5.39 -1.02
H -3.23 -3.46 -2.43
H -3.84 -1.30 -1.35
H -1.55 1.67 0.11
H -1.22 -1.27 1.04
H 0.70 1.14 1.19
H 2.51 0.51 2.80
H 4.05 -1.22 3.77
H 3.76 -3.62 3.14
H 1.92 -4.28 1.58
H 0.38 -2.57 0.66
H -2.92 2.17 2.48
H -2.29 4.41 3.31

# 3
73
Properties=species:S:1:pos:R:3 method="wB97M-V/def2-TZVPD" orbital_gap_ev="7.1372 / 5.1977" de_lowest_kj_mol=0.0 e_lumo_ev="-0.038 / -1.939" s2=8.77 charge=0 multiplicity=6
Fe 11.00 11.37 9.46
C 8.30 7.74 7.78
C 9.39 8.74 7.99
N 9.17 10.08 7.88
N 8.05 10.45 7.28
C 7.95 11.82 7.12
N 7.32 12.22 6.01